Growing sweet potatoes in Iowa?
AMES (ISU) For two consecutive harvest seasons, Ajay Nair and his team of researchers have unearthed an unusual vegetable from Iowa soil-the warm weather-loving sweet potato-confirming that the southern crop can be grown successfully in the Midwest.
In fact, the productive yields of these trials at the Iowa State University Horticulture Research Station, north of Ames, lead Nair to recommend that growers first identify a market before expanding their acreages to include sweet potatoes.
Quantum chemistry results, as found in the file
********
(1)
15 unconnected molecules or ions with the total composition C2H34NO15, computed with ωB97M-V/def2-TZVPD.

Output
- Gap between HOMO and LUMO (alpha / beta): 2.3225 / 11.0759 eV
- <S²>: 0.751
- Energy: -34828.8645 eV

Geometry as ORCA input:
```
! wB97M-V def2-TZVPD RIJCOSX def2/J DEFGRID3
* xyz 0 2
O 1.296 0.507 3.050
C 0.280 0.064 3.534
C -0.817 -0.588 2.714
N -0.653 -0.349 1.259
H 0.144 0.050 4.624
H -0.786 -1.664 2.900
H -1.768 -0.183 3.037
H -1.408 -0.782 0.714
H -0.639 0.660 1.044
H 0.231 -0.751 0.899
H -2.947 0.672 -0.767
H -4.046 0.398 0.365
O -3.085 0.460 0.203
H 0.469 -4.354 2.469
H 0.819 -3.039 1.749
O 0.121 -3.471 2.291
H -0.598 3.952 -2.065
H 0.214 2.591 -2.155
O -0.551 3.044 -1.720
H -0.019 -1.726 -2.423
H -0.450 -2.596 -1.213
O 0.309 -2.459 -1.839
H -1.176 2.466 2.502
H -1.142 2.957 3.990
O -1.111 2.163 3.441
H -2.221 2.084 0.517
H -1.010 2.887 -0.082
O -1.418 2.613 0.761
H -1.059 -3.214 0.950
H -2.350 -3.185 0.064
O -1.521 -2.706 0.242
H 2.652 0.830 -0.733
H 3.145 -0.293 -1.687
O 3.078 0.686 -1.603
H 2.109 -2.303 -2.061
H 3.623 -2.581 -2.430
O 3.028 -2.077 -1.853
H 1.760 2.128 -3.920
H 1.987 1.280 -2.601
O 1.267 1.685 -3.199
H 1.658 1.171 1.417
H 1.323 2.305 0.385
O 1.493 1.356 0.477
H -1.923 1.936 -2.163
H -1.928 0.533 -2.727
O -2.543 1.177 -2.296
H 0.211 0.301 -3.423
H -0.694 -0.570 -4.385
O -0.522 -0.364 -3.442
H 2.482 -1.895 0.427
H 1.156 -2.116 -0.306
O 1.534 -1.938 0.592
*
```

Here are the Mulliken charges for atoms 1 to 6, given in e: O -0.53; C 0.05; C -1.06; N -0.06; H 0.40; H 0.51

=====

(2)
16 unconnected molecules or ions with the total composition C2H35NO16 in a non-equilibrium geometry, computed with ωB97M-V/def2-TZVPD.

Output
- Gap between HOMO and LUMO: 10.5915 eV
- Energy: -36894.8536 eV

Geometry as ORCA input:
```
! wB97M-V def2-TZVPD RIJCOSX def2/J DEFGRID3
* xyz 0 1
C -1.762 -1.045 -1.547
C -1.553 -0.306 -0.280
N -0.407 0.409 -0.210
O -2.205 -0.631 0.725
H -1.693 -0.457 -2.460
H -2.724 -1.586 -1.609
H -1.126 -1.928 -1.619
H -0.368 1.120 0.510
H 0.287 0.460 -0.929
H 2.752 -0.026 1.193
H 2.737 0.001 -0.304
O 3.223 0.387 0.459
H -3.134 2.046 -1.427
H -1.771 2.675 -1.547
O -2.311 1.928 -1.905
H -0.662 -3.867 1.752
H -2.215 -3.429 1.852
O -1.376 -3.676 2.364
H -0.616 -0.558 2.424
H -0.950 -1.966 2.725
O -0.349 -1.245 3.060
H -2.768 -1.819 3.656
H -2.944 -0.981 2.539
O -3.461 -1.682 2.997
H 1.200 -1.639 -0.862
H 1.865 -1.295 -2.194
O 1.717 -0.902 -1.306
H 3.486 2.730 1.065
H 2.222 3.602 1.315
O 3.125 3.618 0.945
H 2.766 -1.809 3.154
H 1.251 -1.603 2.804
O 2.116 -1.931 2.459
H 0.955 -1.109 -4.596
H 1.985 -0.165 -3.987
O 1.714 -1.095 -3.997
H 0.083 3.039 -0.754
H -0.018 4.490 -1.122
O -0.549 3.788 -0.725
H 0.830 2.668 -2.970
H -0.178 1.722 -3.759
O 0.687 2.135 -3.759
H 2.571 2.955 -0.866
H 2.067 1.624 -1.176
O 1.803 2.546 -1.312
H 1.630 -3.507 -0.014
H 1.294 -2.339 0.930
O 0.904 -2.927 0.251
H 0.118 2.929 2.520
H -0.202 3.559 1.159
O 0.449 2.989 1.613
H -3.142 -2.086 0.505
H -3.958 -2.809 1.516
********
He also suggests curing methods to preserve the vegetable for sale through the winter months.
Nair is a vegetable production Extension specialist and assistant professor at the ISU Department of Horticulture.
He has received financial support from the Leopold Center for Sustainable Agriculture to establish his research program, which focuses on vegetables suited to Iowa’s soil and climate types.
Sweet potatoes are typically grown in the South, where the hotter climate and long growing season suits the plant’s needs. But Nair has found that by using black plastic mulch and drip irrigation, three cultivars of sweet potato – Beauregard, Covington and Evangeline – produce yields very close to the national average of about 20,000 pounds per acre and, in one case, exceeds this.
“If you’re growing half an acre, or let’s say one-fourth of an acre, you have 5,000 pounds,” Nair said. “So, before growing, find a market.” The grower or buyer should have the ability to cure and store the produce so it doesn’t go to waste.
~~~
No. 1
This record from the Open Molecules 2025 dataset describes a 2-piece molecular cluster, C3H4OS overall. The level of theory is wB97M-V/def2-TZVPD.

Last column: Mulliken charge in e.
Atoms and positions in Å:
C (-0.03, 1.90, -0.13)  0.10
C (0.04, 0.71, -0.12)  -0.19
C (0.19, -0.68, -0.04)  -1.12
O (-3.33, -0.87, -0.17)  -0.29
S (-3.78, 0.46, 0.25)  0.27
H (-0.18, 2.96, -0.37)  0.38
H (-0.63, -1.33, -0.49)  0.24
H (0.03, -1.09, 1.05)  0.25
H (0.96, -1.08, -0.57)  0.35

Properties
relative energy (zero: lowest compared OMol25 entry of this formula, charge and spin): 91.2 kcal per mole
highest occupied orbital energy (alpha / beta): -9.236 / -9.165 eV
orbital gap (alpha / beta): 7.80 / 7.70 eV
DFT total energy: -16054.1541 eV
structure (SMILES): C#CC.O=S
net charge: 0
E_LUMO (alpha / beta): -1.43 / -1.46 eV

No. 2
This record from the Open Molecules 2025 dataset describes a 2-piece molecular cluster, C27H30N5 overall. The level of theory is wB97M-V/def2-TZVPD.

Last column: Mulliken charge in e.
Atoms and positions in Å:
C (1.77, 4.73, -1.87)  -0.98
N (2.15, 3.33, -1.85)  0.18
C (1.31, 2.32, -1.50)  -0.86
C (2.05, 1.12, -1.34)  -0.09
C (1.64, 0.03, -0.53)  0.45
C (2.26, -1.26, -0.64)  1.47
C (2.87, -1.69, -1.86)  -0.64
C (3.77, -2.76, -1.87)  -0.41
C (4.02, -3.49, -0.70)  -0.44
C (3.32, -3.16, 0.47)  -0.63
C (2.40, -2.11, 0.49)  -0.47
C (3.43, 1.45, -1.75)  0.82
C (4.65, 0.80, -1.59)  -0.13
C (5.84, 1.51, -1.82)  -0.87
C (5.83, 2.89, -2.06)  -0.65
C (4.62, 3.59, -2.14)  -0.77
C (3.45, 2.84, -2.03)  0.06
H (2.52, 5.28, -2.43)  0.34
H (0.79, 4.84, -2.34)  0.37
H (1.71, 5.16, -0.86)  0.33
H (0.25, 2.49, -1.34)  0.53
H (1.21, 0.32, 0.43)  0.04
H (2.69, -1.12, -2.77)  0.50
H (4.31, -3.00, -2.79)  0.42
H (4.76, -4.29, -0.70)  0.40
H (3.52, -3.72, 1.39)  0.41
H (1.85, -1.88, 1.40)  0.31
H (4.67, -0.24, -1.28)  0.26
H (6.79, 0.98, -1.77)  0.40
H (6.77, 3.43, -2.18)  0.38
H (4.57, 4.67, -2.26)  0.23
C (-0.87, -0.20, 4.15)  -1.14
N (-2.04, -0.45, 3.33)  0.00
C (-3.30, -0.08, 3.94)  -0.59
C (-4.48, -0.76, 3.26)  -0.81
N (-4.35, -0.79, 1.82)  -0.14
C (-5.59, -1.00, 1.11)  -0.85
C (-5.37, -1.52, -0.30)  -0.53
N (-4.18, -0.97, -0.92)  0.03
C (-4.18, -1.02, -2.37)  -1.19
C (-3.02, -0.87, -0.20)  -0.06
C (-1.72, -0.85, -0.77)  -1.01
N (-0.63, -0.62, -0.03)  -0.13
C (-0.71, -0.55, 1.30)  -0.32
C (-1.95, -0.62, 1.98)  -0.48
C (-3.13, -0.78, 1.22)  1.37
H (-0.11, -0.98, 3.97)  0.38
H (-0.42, 0.79, 3.97)  0.34
H (-1.19, -0.25, 5.19)  0.33
H (-3.24, -0.37, 4.99)  0.41
H (-3.45, 1.02, 3.90)  0.28
H (-4.56, -1.79, 3.66)  0.33
H (-5.41, -0.22, 3.52)  0.41
H (-6.20, -1.72, 1.67)  0.41
H (-6.17, -0.06, 1.07)  0.34
H (-5.30, -2.62, -0.24)  0.29
H (-6.22, -1.27, -0.94)  0.35
H (-3.54, -0.24, -2.78)  0.38
H (-3.86, -2.00, -2.76)  0.37
H (-5.22, -0.86, -2.70)  0.35
H (-1.58, -1.03, -1.84)  0.51
H (0.19, -0.37, 1.89)  0.41

Properties
highest occupied orbital energy: -9.425 eV
orbital gap: 5.31 eV
DFT total energy: -35929.0853 eV
net charge: +1
E_LUMO: -4.12 eV

No. 3
~~~
Is that a hard sell? Not at all, said nair.
-- Between two parts of the page: records of molecules --
=====
Below is a 10-piece molecular cluster, H20O10 overall in a non-equilibrium geometry, with properties calculated with ωB97M-V/def2-TZVPD.

Last column: Mulliken charge in e.
Cartesian coordinates (Å):
O 0.15276 0.50609 -1.18520  -0.593
H -0.28332 -0.00924 -0.49727  0.291
H 0.63294 1.18638 -0.69977  0.290
O 4.78108 -1.38196 -0.79469  -0.609
H 4.81048 -1.01290 -1.68459  0.333
H 3.87561 -1.22347 -0.50488  0.291
O 2.81072 -3.42310 0.52533  -0.613
H 2.96137 -3.05039 1.40133  0.333
H 3.08183 -2.72178 -0.07771  0.225
O -1.54126 3.23157 0.55932  -0.536
H -0.74763 2.88406 0.98167  0.264
H -1.43435 4.18811 0.61029  0.271
O 0.87311 -0.48494 2.52217  -0.603
H 1.77565 -0.30860 2.23354  0.304
H 0.40271 -0.69324 1.70711  0.273
O -5.06950 -0.29598 0.14958  -0.599
H -4.41983 0.01647 -0.49019  0.294
H -5.40501 0.51090 0.55624  0.317
O 4.39076 4.58330 -0.82490  -0.628
H 4.63296 3.65813 -0.70493  0.316
H 3.47684 4.62764 -0.52197  0.313
O -3.68387 -3.13121 -1.61427  -0.605
H -2.87958 -2.80875 -1.19222  0.288
H -3.92483 -2.42805 -2.22786  0.310
O -3.31813 2.61931 0.35849  -0.556
H -3.81355 2.35200 -0.42387  0.259
H -3.25539 3.57791 0.28014  0.304
O 0.48325 -3.27931 0.47516  -0.495
H 0.77313 -3.90708 1.14663  0.307
H -0.13897 -3.78185 -0.06268  0.254

Summary:
**Structure (SMILES)**: O.O.O.O.O.O.O.O.O.O
**DFT total energy**: -764.24281 hartree
**Energy relative to the best compared isomer or geometry (same formula, charge and spin)**: 6.506 eV
**Molecular weight**: 180.1 g mol⁻¹
**Gap between HOMO and LUMO**: 9.432 eV

----------

# 1
Entry from the Open Molecules 2025 dataset: a structure of composition C13H32NO5Zn in a non-equilibrium geometry (ωB97M-V/def2-TZVPD).

Charge   -1
2S+1   1

Geometry (Å):
Zn: -21.234 -14.779 -5.573
C: -22.851 -15.653 -10.785
C: -22.698 -16.437 -9.421
O: -22.784 -15.474 -8.371
H: -22.190 -14.793 -10.890
H: -23.854 -15.228 -10.800
H: -22.632 -16.236 -11.679
H: -21.793 -17.030 -9.555
H: -23.624 -17.005 -9.327
C: -24.750 -17.771 -4.329
C: -24.543 -16.549 -3.353
O: -23.841 -15.489 -3.967
H: -25.206 -17.647 -5.312
H: -25.177 -18.688 -3.923
H: -23.760 -18.125 -4.617
H: -23.963 -16.932 -2.514
H: -25.463 -16.335 -2.810
C: -18.131 -10.660 -4.233
C: -19.658 -10.613 -4.208
C: -20.230 -9.182 -4.441
O: -20.178 -11.568 -5.111
H: -17.759 -11.527 -3.686
H: -17.660 -9.784 -3.788
H: -17.577 -10.783 -5.163
H: -19.935 -10.813 -3.173
H: -21.036 -8.938 -3.748
H: -20.405 -8.731 -5.417
H: -19.547 -8.505 -3.928
C: -19.343 -15.105 0.501
O: -18.931 -15.615 -0.806
C: -18.867 -14.683 -1.839
C: -18.542 -15.458 -3.115
N: -19.775 -16.127 -3.726
C: -19.318 -17.126 -4.635
C: -18.271 -16.556 -5.734
O: -18.986 -15.394 -6.181
C: -18.392 -14.602 -7.246
H: -19.296 -15.944 1.196
H: -20.367 -14.830 0.753
H: -18.565 -14.480 0.939
H: -18.070 -13.990 -1.570
H: -19.816 -14.172 -2.004
H: -17.851 -16.266 -2.873
H: -18.025 -14.862 -3.867
H: -20.182 -16.559 -2.908
H: -20.135 -17.609 -5.171
H: -18.852 -17.992 -4.166
H: -18.053 -17.322 -6.478
H: -17.296 -16.239 -5.364
=====
Sweet potatoes are rich in beta-carotene and other valuable nutrients, and are also high in sugar, and thus delicious. Additionally, like potatoes and onions, the sweet potato is “not a perishable crop.”
If the yield is cured for 10 to 14 days at 85 degrees and about 90 percent relative humidity-and then stored at about 55 degrees, Nair has found that the crop will last six to seven months.
“The farmer can harvest in the fall and then slowly sell it throughout the winter.”
Nair points out that growing sweet potatoes in Iowa has the added appeal of being a niche product, since the big sweet potato producers are all out of state-North Carolina, Louisiana and California.
He recommends that farmers appeal to buyers interested in promoting local foods throughout the winter, when fresh produce is scarce. With the right consumer base – through farmers markets, CSAs, restaurants, schools or hospitals – farmers can earn anywhere from the USDA wholesale price of 20 cents a pound to as much as $1 a pound at the farmers market.
Nair has identified several growing and harvesting practices that suit the sweet potato plant’s needs, particularly on the commercial scale.The key to success is controlling temperature and moisture.
“Black plastic mulch is a definitely a must,” he said. “That gives you an insurance against erratic weather.”
The black plastic absorbs heat, warming the soil while keeping in moisture. It also keeps out weeds, so that apart from an initial weeding between the mulch rows, the sweet potatoes don’t need much hoeing or herbicide treatment.
Their trailing vines soon cover the ground, making it hard for weeds to germinate.
Drip irrigation is also important for growing sweet potatoes in Iowa-particularly this year, with unseasonal rains and a dry summer.
“You don’t need a lot,” said Nair, “just uniform irrigation.”
Nair will be comparing his two years of data against each other to learn more about the sweet potato’s performance with drip irrigation and plastic mulch to control against climate variables.
He is also looking at spacing requirements that maximize sale-able sweet potatoes – not too large or too small. And for commercial growers, Nair has found that sweet potatoes can be harvested using a U-shaped undercutter implement attached to a tractor.
It pulls the potatoes up out of the soil, where they can then be easily picked up by hand.
So, with some planning, an Iowa-grown sweet potato could easily become a regular feature of the holiday season.
Nair shares a recipe for sweet potatoes that can be found at the Leopold Center website.
Here’s a teaser: Baking sweet potatoes at 350 degrees activates enzymes within the vegetable that break down its starches to sugars. That’s what makes them so sweet.